Three-Parent Baby

B2 – Upper Intermediate

The joy of having a child is immeasurable and it is what most couples look forward to. However, there are situations when couples could not possibly have a normal and healthy offspring due to the genetic disorder of one of the would-be parents. Science has found the answer, but are parents willing to replace their genes with another person’s to conceive a healthy child?

Let’s learn more about the three-parent baby.

Discussion Questions:

1. How does the three-parent baby work?

2. Why is there a need for a three-parent baby technique?

3. What is your stand on this issue? Do you think it is morally acceptable to undergo this process?

Aging Cure

C1 – Advanced

Aging is inevitable and is associated with changes in our biological, physiological, and behavioral being. Scientists are doing their best to unravel all aging mysteries to come up with an antidote. If scientists discovered a cure for aging, would you take it?

Let’s watch the video to check the discoveries that might benefit us:

Discussion Questions:

1. What 3 tools are scientists experimenting with?
2. Do you think humans will ever be able to stop aging?
3. Would you volunteer for a trial?
4. How long do you want to live?
5. How are senior citizens viewed in your country?

Historic Landing on the Dark Side of the Moon

B2 – Upper Intermediate

The first country to successfully launch a probe on the dark side of the moon that is never visible from the earth is China. The moon has been one of the subjects of human research and explorations for centuries. How will this great technological feat impact our space explorations in the future?

Read on to find out more about China’s successful moon mission.

Discussion Questions:

  1. What are the things that you know about the moon?
  2. How big of an achievement do you think this is?
  3. What are the pros and cons of creating settlements on the moon?
  4. What do you think the future of space exploration will be?
  5. How interesting is the idea of settling in outer space for you?

What Would Happen If the Earth Stopped Spinning?

C1 – Advanced

The earth rotates at 1,000 miles per hour. Can you imagine what might occur if the earth were to slow down or stop spinning altogether?

Watch this video to find out what scientists think would happen in the event that our planet suddenly stands still.


Discussion Questions:

1. Explain the video in your own words.

2. What does tidal locking mean? What will happen if earth gets locked to the sun?

3. What are your thoughts about this scenario? Do you think it is likely to happen?

4. In general, what do you think about the universe?

How Do Vampire Bats Survive on Blood?

B2 – Upper Intermediate

Have you ever wondered how vampire bats live? Scientists have recently discovered how these “flying mice” can survive on a blood-only diet.

Watch the video to find out more about these creatures and also learn some vocabulary associated with their “bloody” lifestyle.

Discussion Questions:

1. According to the video, how do vampire bats live only on blood?

2. What comes to mind when you hear the words “vampire”, “bats” and “blood”?

3. Do you know of any vampire legends/folk stories from your country? Tell us about them.

Cryogenic Freezing

C1 – Advanced

Cryogenic freezing is a technique used to store a person’s body at an extremely low temperature with the hope of one day reviving it. If someone has died from a disease or condition that is currently incurable, they can be “frozen” and then revived in the future when a cure has been discovered. This technique is already being performed today, but the technology behind it is still in its infancy.

The idea of preserving a person’s body at very low temperatures in the hope that it will be restored by future medical technology has been a staple of science fiction. But could cryonics be a genuine way of being brought back to life years into the future?

Watch the video and be able to answer the questions that follow:

Discussion Questions:

  1. According to the video, how is the cryonic process performed?
  2. What are the advantages and disadvantages of cryogenic freezing?
  3. How do you feel about cryogenic freezing?
  4. Would you undergo such process in the hope of finding a cure to your incurable disease?

Designer Babies

B2 – Upper Intermediate

A designer baby is one whose genetic makeup has been selected in order to get a particular trait or remove a particular defect in the baby’s gene. It has become an increasingly popular procedure since it helps couples with infertility-related issues. The practice pre-selects before implantation. This procedure allows couples to screen viable embryos for various genetic traits, such as potential diseases the embryo could have and other traits that the embryo would likely attain before implanting them into the mother’s womb.

Since this has been created, it has caused uproar throughout the scientific community as to whether it is an ethical procedure or not. There are many questions that have been brought up, but these are very difficult to answer. Should there be designers babies?

Watch the video and be ready to answer the questions that follow:

Discussion Questions:

  1. What do you think of Designer Babies?
  2. What are the benefits and drawbacks of pre-implantation genetic screening?
  3. Would you be willing to undergo this procedure? Why or why not?

Is This the Safest Place in the World?

C1 – Advanced

Climate change is a hotly debated topic in many nations across the world. For some, the impact of this phenomenon is something to be seriously dealt with. This is why a group of concerned individuals built a special vault in order to prepare for climate change and it’s consequences.

Watch the video below to find out more.

Discussion Questions:

  1. What is this special vault for? Describe what it looks like.
  2. Do you think that this vault is necessary? Why or why not?
  3. Can you think of other extreme measures that people are trying to do in order to battle climate change?

____________
CaGe3Ir3: theoretical powder diffractogram (λ = 1.5418 Å (Cu Kα)), based on the PBE geometry in Alexandria.

Principal peaks in the range 10° ≤ 2θ ≤ 90°, in order of rising 2θ:
| Position (°2θ) | I_rel |
| --- | --- |
| 18.48 | 100 |
| 26.25 | 42 |
| 29.41 | 68 |
| 32.29 | 99 |
| 42.08 | 26 |
| 46.31 | 74 |
| 48.32 | 18 |
| 50.27 | 57 |
| 54.01 | 43 |
| 79.91 | 27 |

Crystal structure
a b c (Å): 6.791 6.791 6.791
angles (deg): 90.00 90.00 90.00
Fractional positions:
Ca1 0.000 0.000 0.000
Ca2 0.500 0.500 0.500
Ge1 0.000 0.250 0.500
Ge2 0.000 0.750 0.500
Ge3 0.250 0.500 0.000
Ge4 0.500 0.000 0.250
Ge5 0.500 0.000 0.750
Ge6 0.750 0.500 0.000
Ir1 0.000 0.500 0.250
Ir2 0.000 0.500 0.750
Ir3 0.250 0.000 0.500
Ir4 0.500 0.250 0.000
Ir5 0.500 0.750 0.000
Ir6 0.750 0.000 0.500


CsKNa10: theoretical powder diffractogram (λ = 1.5418 Å (Cu Kα)), based on the PBE geometry in Alexandria.

Principal peaks in the range 10° ≤ 2θ ≤ 90°, in order of rising 2θ:
| Position (°2θ) | I_rel |
| --- | --- |
| 20.34 | 33 |
| 20.50 | 71 |
| 23.88 | 37 |
| 27.48 | 20 |
| 27.96 | 37 |
| 28.33 | 100 |
| 28.67 | 49 |
| 30.30 | 36 |
| 41.70 | 28 |
| 45.31 | 26 |

Crystal structure
a b c (Å): 5.900 7.330 12.982
angles (deg): 90.00 90.00 90.00
Fractional positions:
Cs1 0.000 0.000 0.000
K1 0.000 0.500 0.500
Na1 0.000 0.000 0.341
Na2 0.000 0.000 0.659
Na3 0.000 0.500 0.176
Na4 0.000 0.500 0.824
Na5 0.500 0.000 0.500
Na6 0.500 0.252 0.256
Na7 0.500 0.252 0.744
Na8 0.500 0.500 0.000
Na9 0.500 0.748 0.256
Na10 0.500 0.748 0.744


TmSc4S4: theoretical powder diffractogram (λ = 1.5418 Å (Cu Kα)), based on the PBE geometry in Alexandria.

Principal peaks in the range 10° ≤ 2θ ≤ 90°, in order of rising 2θ:
| Position (°2θ) | I_rel |
| --- | --- |
| 11.35 | 43 |
| 14.85 | 26 |
| 26.21 | 14 |
| 29.64 | 28 |
| 29.98 | 11 |
| 32.70 | 9 |
| 34.46 | 100 |
| 49.30 | 32 |
| 49.75 | 30 |
| 61.53 | 18 |

Crystal structure
a b c (Å): 6.386 6.386 8.941
angles (deg): 117.94 117.94 33.68
Fractional positions:
Tm1 0.000 0.000 0.000
Sc1 0.208 0.208 0.801
Sc2 0.400 0.400 0.602
Sc3 0.600 0.600 0.398
Sc4 0.792 0.792 0.199
S1 0.202 0.202 0.309
S2 0.397 0.397 0.108
S3 0.603 0.603 0.892
S4 0.798 0.798 0.691


This entry pairs a crystal structure of Ac8Ir3I4Br with its theoretical X-ray diffraction stick pattern. Radiation: Cu Kα (λ = 1.5418 Å). Structure: the PBE geometry in Alexandria.

Structural model:
```
Ac8Ir3I4Br
1.0
7.7977 -4.5002 0.0000
7.7977 4.5002 0.0000
-5.2081 0.0000 8.6213
Ac Ir I Br
8 3 4 1
Direct
0.1992 0.7457 0.6903
0.2275 0.2275 0.6822
0.2543 0.2543 0.3098
0.2543 0.8008 0.3097
0.7457 0.1992 0.6903
0.7457 0.7457 0.6902
0.7725 0.7725 0.3178
0.8008 0.2543 0.3097
0.0000 0.0000 0.5000
0.0000 0.5000 0.5000
0.5000 0.0000 0.5000
0.0000 0.0000 0.0000
0.0000 0.5000 0.0000
0.5000 0.0000 0.0000
0.5000 0.5000 0.0000
0.5000 0.5000 0.5000
```

Main lines, by angle (2θ from 15° to 90°):
____________
-- The page goes on --

What If You Never Learned Anything?

C1 – Advanced

Critical period is a period during someone’s development in which a particular skill or characteristic is believed to be most readily acquired. What if we passed the critical period without learning a language? Can we not teach an old dog new tricks? Watch the video and find out.

Discussion Questions:

1. Why is it important to learn a lot of things during the critical period?

2. What skills did you learn during your critical period? What skills did you learn passed the critical period?

3. What is something you have always wanted to learn but never got the chance to do so?

4. What did you first learn from your parents?

5. As a parent (future parent), how would you guide your child in his/her critical period?

6. Would you allow your child to be a human subject in a scientific research?

What Causes Insomnia?

Do you struggle to go to sleep even though you are tired? Or do you wake up in the middle of the night and lie awake for hours, tossing and turning, anxiously checking the clock?

Insomnia is a very common problem and most of us experience this some time in our lives.

So what is insomnia? Is there any way to break the cycle?

Watch the video as Dan Kwartler details the science of insomnia.

Discussion Questions:

  1. What keeps you up at night?
  2. Do you have difficulty falling asleep?
  3. What are some ways to help you fall asleep easily?
  4. How do you feel when you suffer from Insomnia? How do you cope with it?